== What to do ==
Please transcribe everything further down exactly.
== Excerpt ==
┌──
HfB4H16 GGA-PBEsol optimized geometry; space group = P-43m; mass density = 2.2 Mg/m³; M_tot = 0.0 μB per formula unit; electronic total energy = -94.72 eV per cell
1.0
-2.5166 1.3605 -4.8798
-5.0406 -1.2170 2.2601
-0.5066 5.3540 1.7537
H B Hf
16 4 1
Cartesian
-4.4767 3.1562 0.8723
-0.8662 1.7502 -0.7912
-3.6799 5.9608 -1.2714
-2.8481 1.9417 -0.3059
-5.0668 1.9840 -1.0749
-6.0052 3.1026 2.2362
-6.9572 1.2113 -0.9054
-1.4952 1.1079 0.9882
-3.7358 3.9129 -1.2236
-2.2978 4.9299 -2.2716
-4.8753 4.7401 2.1100
-5.5749 0.1806 -1.9056
-4.1809 4.9656 -2.9245
-6.3282 1.8536 -2.6847
-4.1221 3.0669 2.8889
-1.9962 0.1127 -0.6650
-5.9282 1.3470 -1.6094
-4.8468 3.4954 1.9593
-3.4889 4.8820 -1.8818
-1.8627 1.2699 -0.2001
-8.0637 5.4974 -0.8660

----------

1.
Entry from Alexandria: a geometry-optimized MnPb2Au structure (PBEsol).

Results
- SG: P4/mmm, No. 123
- Relative energy among the computed polymorphs: 46 meV/atom
- Size of the total moment: 3.88 μB per formula unit

abc: 5.0361 5.0361 3.4105
angles: 90.00 90.00 90.00
Fractional positions:
Mn: 0.0000 0.0000 0.0000
Pb: 0.0000 0.5000 0.5000
Pb: 0.5000 0.0000 0.5000
Au: 0.5000 0.5000 0.0000

2.
Entry from Alexandria: a geometry-optimized MnPb2Au structure (PBEsol).

Results
- SG: Imm2, No. 44
- Relative energy among the computed polymorphs: 0 meV/atom
- Size of the total moment: 3.92 μB per formula unit

abc: 6.0675 6.0675 6.0675
angles: 148.41 130.59 59.84
Fractional positions:
Mn: 0.0000 0.0000 0.0000
Pb: 0.2475 0.7475 0.5000
Pb: 0.5370 0.5370 0.0000
Au: 0.8030 0.3030 0.5000

3.
Entry from Alexandria: a geometry-optimized MnPd2Au structure (PBEsol).

Results
- SG: Fm-3m, No. 225
- Uncorrected energy: -26.09 eV/cell
- Size of the total moment: 4.55 μB per formula unit

abc: 4.4046 4.4046 4.4046
angles: 60.00 60.00 60.00
Fractional positions:
Mn: 0.0000 0.0000 0.0000
Pd: 0.2500 0.2500 0.2500
Pd: 0.7500 0.7500 0.7500
Au: 0.5000 0.5000 0.5000

4.
Entry from Alexandria: a geometry-optimized MnPdAu3 structure (PBEsol).

Results
- SG: Pm-3m, No. 221
- Uncorrected energy: -22.10 eV/cell
- Size of the total moment: 5.08 μB per formula unit

abc: 4.8982 4.8982 4.8982
angles: 90.00 90.00 90.00
Fractional positions:
Mn: 0.0000 0.0000 0.0000
Pd: 0.5000 0.5000 0.5000
Au: 0.0000 0.5000 0.5000
Au: 0.5000 0.0000 0.5000
Au: 0.5000 0.5000 0.0000

5.
Entry from Alexandria: a geometry-optimized Sc2MnPdAu structure (PBEsol).

Results
- SG: P4/mmm, No. 123
- Uncorrected energy: -30.47 eV/cell
- Size of the total moment: 3.92 μB per formula unit

abc: 5.0103 5.0103 4.7561
angles: 90.00 90.00 90.00
Fractional positions:
Sc: 0.0000 0.5000 0.0000
Sc: 0.5000 0.0000 0.0000
Mn: 0.0000 0.0000 0.5000
Pd: 0.5000 0.5000 0.5000
Au: 0.0000 0.0000 0.0000

6.
Entry from Alexandria: a geometry-optimized Mn2PtAu structure (PBEsol).

Results
- SG: Fm-3m, No. 225
- Uncorrected energy: -30.48 eV/cell
- Size of the total moment: 8.38 μB per formula unit

abc: 4.3979 4.3979 4.3979
angles: 60.00 60.00 60.00
Fractional positions:
Mn: 0.2500 0.2500 0.2500
Mn: 0.7500 0.7500 0.7500
Pt: 0.0000 0.0000 0.0000
Au: 0.5000 0.5000 0.5000

7.
Entry from Alexandria: a geometry-optimized MnPtAu3 structure (PBEsol).

Results
- SG: Pm-3m, No. 221
- Uncorrected energy: -22.18 eV/cell
- Size of the total moment: 4.62 μB per formula unit

abc: 4.6678 4.6678 4.6678
angles: 90.00 90.00 90.00
Fractional positions:
Mn: 0.0000 0.0000 0.0000
Pt: 0.5000 0.5000 0.5000
Au: 0.0000 0.0000 0.5000
Au: 0.0000 0.5000 0.0000
Au: 0.5000 0.0000 0.0000

8.
Entry from Alexandria: a geometry-optimized MnPtAu structure (PBEsol).

Results
- SG: Imm2, No. 44
- Relative energy among the computed polymorphs: 0 meV/atom
- Size of the total moment: 4.00 μB per formula unit

abc: 4.9060 4.9060 4.9060
angles: 146.12 135.97 56.69
Fractional positions:
Mn: 0.0000 0.0000 0.0000
Pt: 0.6508 0.6508 0.0000
Au: 0.3310 0.3310 0.0000

9.
Entry from Alexandria: a geometry-optimized Mn2Pt2Au structure (PBEsol).

Results
- SG: P4/mbm, No. 127
- Uncorrected energy: -75.43 eV/cell
└──
== Solution ==
HfB4H16 GGA-PBEsol optimized geometry; space group = P-43m; mass density = 2.2 Mg/m³; M_tot = 0.0 μB per formula unit; electronic total energy = -94.72 eV per cell
1.0
-2.5166 1.3605 -4.8798
-5.0406 -1.2170 2.2601
-0.5066 5.3540 1.7537
H B Hf
16 4 1
Cartesian
-4.4767 3.1562 0.8723
-0.8662 1.7502 -0.7912
-3.6799 5.9608 -1.2714
-2.8481 1.9417 -0.3059
-5.0668 1.9840 -1.0749
-6.0052 3.1026 2.2362
-6.9572 1.2113 -0.9054
-1.4952 1.1079 0.9882
-3.7358 3.9129 -1.2236
-2.2978 4.9299 -2.2716
-4.8753 4.7401 2.1100
-5.5749 0.1806 -1.9056
-4.1809 4.9656 -2.9245
-6.3282 1.8536 -2.6847
-4.1221 3.0669 2.8889
-1.9962 0.1127 -0.6650
-5.9282 1.3470 -1.6094
-4.8468 3.4954 1.9593
-3.4889 4.8820 -1.8818
-1.8627 1.2699 -0.2001
-8.0637 5.4974 -0.8660

----------

1.
Entry from Alexandria: a geometry-optimized MnPb2Au structure (PBEsol).

Results
- SG: P4/mmm, No. 123
- Relative energy among the computed polymorphs: 46 meV/atom
- Size of the total moment: 3.88 μB per formula unit

abc: 5.0361 5.0361 3.4105
angles: 90.00 90.00 90.00
Fractional positions:
Mn: 0.0000 0.0000 0.0000
Pb: 0.0000 0.5000 0.5000
Pb: 0.5000 0.0000 0.5000
Au: 0.5000 0.5000 0.0000

2.
Entry from Alexandria: a geometry-optimized MnPb2Au structure (PBEsol).

Results
- SG: Imm2, No. 44
- Relative energy among the computed polymorphs: 0 meV/atom
- Size of the total moment: 3.92 μB per formula unit

abc: 6.0675 6.0675 6.0675
angles: 148.41 130.59 59.84
Fractional positions:
Mn: 0.0000 0.0000 0.0000
Pb: 0.2475 0.7475 0.5000
Pb: 0.5370 0.5370 0.0000
Au: 0.8030 0.3030 0.5000

3.
Entry from Alexandria: a geometry-optimized MnPd2Au structure (PBEsol).

Results
- SG: Fm-3m, No. 225
- Uncorrected energy: -26.09 eV/cell
- Size of the total moment: 4.55 μB per formula unit

abc: 4.4046 4.4046 4.4046
angles: 60.00 60.00 60.00
Fractional positions:
Mn: 0.0000 0.0000 0.0000
Pd: 0.2500 0.2500 0.2500
Pd: 0.7500 0.7500 0.7500
Au: 0.5000 0.5000 0.5000

4.
Entry from Alexandria: a geometry-optimized MnPdAu3 structure (PBEsol).

Results
- SG: Pm-3m, No. 221
- Uncorrected energy: -22.10 eV/cell
- Size of the total moment: 5.08 μB per formula unit

abc: 4.8982 4.8982 4.8982
angles: 90.00 90.00 90.00
Fractional positions:
Mn: 0.0000 0.0000 0.0000
Pd: 0.5000 0.5000 0.5000
Au: 0.0000 0.5000 0.5000
Au: 0.5000 0.0000 0.5000
Au: 0.5000 0.5000 0.0000

5.
Entry from Alexandria: a geometry-optimized Sc2MnPdAu structure (PBEsol).

Results
- SG: P4/mmm, No. 123
- Uncorrected energy: -30.47 eV/cell
- Size of the total moment: 3.92 μB per formula unit

abc: 5.0103 5.0103 4.7561
angles: 90.00 90.00 90.00
Fractional positions:
Sc: 0.0000 0.5000 0.0000
Sc: 0.5000 0.0000 0.0000
Mn: 0.0000 0.0000 0.5000
Pd: 0.5000 0.5000 0.5000
Au: 0.0000 0.0000 0.0000

6.
Entry from Alexandria: a geometry-optimized Mn2PtAu structure (PBEsol).

Results
- SG: Fm-3m, No. 225
- Uncorrected energy: -30.48 eV/cell
- Size of the total moment: 8.38 μB per formula unit

abc: 4.3979 4.3979 4.3979
angles: 60.00 60.00 60.00
Fractional positions:
Mn: 0.2500 0.2500 0.2500
Mn: 0.7500 0.7500 0.7500
Pt: 0.0000 0.0000 0.0000
Au: 0.5000 0.5000 0.5000

7.
Entry from Alexandria: a geometry-optimized MnPtAu3 structure (PBEsol).

Results
- SG: Pm-3m, No. 221
- Uncorrected energy: -22.18 eV/cell
- Size of the total moment: 4.62 μB per formula unit

abc: 4.6678 4.6678 4.6678
angles: 90.00 90.00 90.00
Fractional positions:
Mn: 0.0000 0.0000 0.0000
Pt: 0.5000 0.5000 0.5000
Au: 0.0000 0.0000 0.5000
Au: 0.0000 0.5000 0.0000
Au: 0.5000 0.0000 0.0000

8.
Entry from Alexandria: a geometry-optimized MnPtAu structure (PBEsol).

Results
- SG: Imm2, No. 44
- Relative energy among the computed polymorphs: 0 meV/atom
- Size of the total moment: 4.00 μB per formula unit

abc: 4.9060 4.9060 4.9060
angles: 146.12 135.97 56.69
Fractional positions:
Mn: 0.0000 0.0000 0.0000
Pt: 0.6508 0.6508 0.0000
Au: 0.3310 0.3310 0.0000

9.
Entry from Alexandria: a geometry-optimized Mn2Pt2Au structure (PBEsol).

Results
- SG: P4/mbm, No. 127
- Uncorrected energy: -75.43 eV/cell